Friday, October 10, 2008

Some suggestions for WWE

I have been a WWE fan for more than 20 years. From the SUPERHERO era to BRET HART era followed by ATTITUDE era until the current lacklustre era, I have never ever lost my interest in the development and build-ups in WWE. However, thing doesnt look great and seems to go downhill for WWE at the moment. With worsening ratings and buyrates slumping to a record low, WWE team must really do something to ameliorate the situation. IMHO, below are some suggestions for WWE:

1) Bring back stables

Based on the ratings of the past Raw which featured DX reunion for one night only, the rating during the match of DX was the highest of that very night. Remember the days when we had stables like DX, Hart Foundation, Corporation, N.O.D., evolution, NWO and etc. During those days, there were a lot of interesting feuds were going on and every Monday night (US Time), i couldn’t wait to see what DX would do, how Stone Cold would kick McMahon’s #@%$# and etc. With stables, the feuds seemed to make more sense and generated more interests. At the time of writing, Randy Orton may be forming a stable with Cody Rhodes, ManU and Ted Biase. I really hope that this stable will not be a dud. I’m looking forward to see how things will progress in the forthcoming weeks.

2) The Protagonist

Looking at the vast pool of talents in WWE right, sadly to say, there’s none of them which lives to the status of Hulk Hogan, Bret Hart, Stone Cold and The Rock at their prime. WWE really needs this MAN which is the top draw which everyone will rise and go nuts when this is around. This MAN doesn’t need to be a great wrestler but he needs to know how to hype the crowd, make the audiences feel involved and has the edge over the other wrestlers. Usually, this MAN must have great catchphrases and charismatic. Well, i always think that HBK Shawn Michaels is capable of being the MAN but he is no more the old cocky and flamboyant Shawn Michaels that we had after his rebirth as a faithful Christian. With such a rare talent, i think the creative can build him into a kind of legend like Ric Flair who’s well revered. The other potential MAN who can take up this spot is Chris Jericho. Considering Chris Jericho is the top heel in RAW right now, we may not see him leading WWE in a near future. I guess the creative was actually pushing John Cena to be the MAN. Yes, he is quite over with the fans but only among kids. They need to rekindle Cena’s character to be more serious and mature. He also needs to brush up his mic skill as comparing to the likes of The Rock and HBK Shawn Michaels, his mic skill is really an amateur.

3) Make titles significant

Look at the current states of World Champ, WWE Champ, Intercontinental Champ, US Champ and tag team champs now. Those days in which these champs were respected are gone. I remember in the past, Intercontinental Championship Match was always fun to watch and the wrestlers who held it really took it seriously and the match’s always the MATCH of the NIGHT of the shows or at least, entertained! Remember Bret Hart vs Mr Perfect, Macho Man vs Ricky Steamboat, Bret Hart vs Shawn Michaels, Shawn Michaels vs Razor Ramon and etc… Look at the current champion Santino. I have no idea why the creative puts this prestigous belt around the waist of this unconvincing and idiotic wrestler. They even makes him look like he can’t even beat a female wrestler. How about the once very entertaining matches? Tag teams are really in demise now in WWE! The current formula is simple: bring 2 MIA wrestlers together and form a tag team. Then, either put the tag team championship match in a dark match or let them defend the title once in a blue moon. Hey! When can we have those great teams like Hart Foundation, L.O.D., British Bulldogs, The Rockers, Hardy Boys and etc again? Apart from the World Champion and WWE champion, we hardly see any other titles on the line in PPV. So, i want to tell the creative to make those titles significant. Make them look like they really go all out to fight for the title and only give the titles to the deserved and talented! Revolve the storylines around the titles and make them significant and mean something. We, as WWE fan, deserve more than what we are having now!

There’s a column at the right bottom of which fans can send feedback to improve the show. I strongly believe that as could do it in the past, they still can reach another great height.

/*
# 1
Material: GaWBr2
Method: DFT, PBE
State: optimized geometry

Geometry as POSCAR:
```
GaWBr2
1.0
0.000 3.369 3.369
3.369 0.000 3.369
3.369 3.369 0.000
Ga W Br
1 1 2
Cartesian
0.000 0.000 0.000
3.369 3.369 3.369
1.685 1.685 1.685
5.054 5.054 5.054
```

Properties
energy relative to the elements, uncorrected: 0.989 eV/atom
E above lowest polymorph: 609 meV per atom

---

# 2
Material: GaWBr3
Method: DFT, PBE
State: optimized geometry

Geometry as POSCAR:
```
GaWBr3
1.0
5.382 0.000 0.000
0.000 5.382 0.000
0.000 0.000 5.382
Ga W Br
1 1 3
Cartesian
0.000 0.000 0.000
2.691 2.691 2.691
0.000 2.691 2.691
2.691 0.000 2.691
2.691 2.691 0.000
```

Properties
energy relative to the elements, uncorrected: 0.254 eV/atom
E above lowest polymorph: 0 meV per atom

---

# 3
Material: GaW2Br
Method: DFT, PBE
State: optimized geometry

Geometry as POSCAR:
```
GaW2Br
1.0
0.000 3.175 3.175
3.175 0.000 3.175
3.175 3.175 0.000
Ga W Br
1 2 1
Cartesian
0.000 0.000 0.000
1.587 1.587 1.587
4.762 4.762 4.762
3.175 3.175 3.175
```

Properties
energy relative to the elements, uncorrected: 1.074 eV/atom
E above lowest polymorph: 4 meV per atom

---

# 4
Material: GaWBr2
Method: DFT, PBE
State: optimized geometry

Geometry as POSCAR:
```
GaWBr2
1.0
-4.547 4.547 2.607
4.547 -4.547 2.607
4.547 4.547 -2.607
Ga W Br
2 2 4
Cartesian
0.000 0.000 0.000
0.000 4.547 1.304
4.547 0.000 1.304
0.000 0.000 2.607
2.274 3.581 -0.652
5.514 2.274 0.652
2.274 0.967 1.955
-0.967 2.274 3.259
```

Properties
energy relative to the elements, uncorrected: 0.430 eV/atom
E above lowest polymorph: 50 meV per atom

---

# 5
Material: YGa2Br8
Method: DFT, PBE
State: optimized geometry

Geometry as POSCAR:
```
YGa2Br8
1.0
6.529 -5.139 0.000
6.529 5.139 0.000
-1.350 0.000 6.665
Y Ga Br
1 2 8
Cartesian
0.000 0.000 0.000
1.728 0.000 4.472
9.980 0.000 2.193
4.967 3.281 1.446
2.064 0.000 1.967
6.741 3.281 5.219
3.822 0.000 5.527
7.886 0.000 1.138
4.967 -3.281 1.446
9.644 0.000 4.698
6.741 -3.281 5.219
```

Properties
energy relative to the elements, uncorrected: -1.072 eV/atom

---

# 6
Material: YGaBr4
Method: DFT, PBE
State: optimized geometry

Geometry as POSCAR:
```
YGaBr4
1.0
7.864 -2.117 0.000
7.864 2.117 0.000
-3.802 0.000 6.904
Y Ga Br
1 1 4
Cartesian
0.000 0.000 0.000
5.963 0.000 3.452
-1.352 0.000 5.637
3.203 0.000 5.165
8.723 0.000 1.739
13.278 0.000 1.266
```

Properties
energy relative to the elements, uncorrected: -1.420 eV/atom

---

# 7
Material: YGa2Br
Method: DFT, PBE
State: optimized geometry

Geometry as POSCAR:
```
YGa2Br
1.0
-4.319 4.319 2.819
4.319 -4.319 2.819
4.319 4.319 -2.819
Y Ga Br
2 4 2
Cartesian
0.000 0.000 0.000
0.000 4.319 1.410
6.478 1.990 -0.705
1.990 2.159 0.705
-2.159 2.329 2.115
2.329 2.159 3.524
4.319 0.000 1.410
0.000 0.000 2.819
```

Properties
energy relative to the elements, uncorrected: -0.203 eV/atom
E above lowest polymorph: 0 meV per atom

---

# 8
Material: YGaBr3
Method: DFT, PBE
State: optimized geometry

Geometry as POSCAR:
```
YGaBr3
1.0
5.397 0.000 0.000
*/

Saturday, September 20, 2008



昨天早上,收到朋友的邮件 "什麼是次貸危機!". 阅读后,真是让我恍然大悟,矛塞顿开.我特地转载他的邮件,让大家比较全面地了解什麼是次貸危機. 谢谢KT兄寄给我这封邮件,让我上了宝贵的一课.

> Subject: 什麼是次貸危機!

> 什麼是次貸危機一看就明瞭
> 過去在美國,貸款是非常普遍的現象,
> 從房子到汽車,從信用卡到電話帳單,貸款無處不在。
> 當地人很少一次現金買房,通常都是長時間貸款。
> 可是我們也知道,在美國失業和再就業是很常見的現象。
> 這些收入並不穩定甚至根本沒有收入的人,他們怎麼買房子呢?
> 因為信用等級達不到標準,他們就被定義為次級貸款者。
> 大約從10年前開始,
> 那個時候貸款公司漫天的廣告就出現在電視上、報紙上、街頭,
> 抑或在你的信箱裏塞滿誘人的傳單:
> 『你想過中產階級的生活嗎?買房吧!』
> 『積蓄不夠嗎?貸款吧!』
> 『沒有收入嗎?找阿囧貸款公司吧!』
> 『首次付款也付不起?我們提供零首付!』
> 『擔心利息太高?頭兩年我們提供3%的優惠利率!』
> 『每個月還是付不起?沒關係,頭24個月你只需要支付利息,貸款的本金可以兩年後再付!
> 想想看,兩年後你肯定已經找到工作或者被提升為經理了,到時候還怕付不起!』
> 『擔心兩年後還是還不起?哎呀,你也真是太小心了,
> 看看現在的房子比兩年前漲了多少,到時候你轉手賣給別人啊,
> 不僅白住兩年,還可能賺一筆呢!再說了,又不用你出錢,
> 我都相信你一定行的,難道我敢貸,你還不敢借?』
> 在這樣的誘惑下,無數美國市民毫不猶豫地選擇了貸款買房。
> (你替他們擔心兩年後的債務?向來相當樂觀的美國市民會告訴你,
> 演電影的都能當上州長,兩年後說不定我還能競選總統呢。)
> 阿囧貸款公司短短幾個月就取得了驚人的業績,
> 可是錢都貸出去了,能不能收回來呢?
> 公司的董事長--阿囧先生,那也是熟讀美國經濟史的人物,
> 不可能不知道房地產市場也是有風險的,
> 所以這筆收益看來不能獨吞,要找個合夥人分擔風險才行。
> 於是阿囧找到美國財經界的領頭大哥--投資銀行。
> 這些傢伙可都是名字響噹噹的大哥(美林、高盛、摩根),
> 他們每天做什麼呢?就是吃飽了閒著也是閒著,
> 於是找來諾貝爾經濟學家,找來哈佛教授,找來財務工程人員,
> 用上最新的經濟資料模型,一番金融煉丹(copula
> 差不多是此時煉出)之後,
> 弄出幾份分析報告,從而評價一下某某股票是否值得買進,
> 某某國家的股市已經有泡沫了,這一群在風險評估市場呼風喚雨的大哥,
> 你說他們看到這裡面有沒有風險?
> 開玩笑,風險是用腳都看得到!可是有利潤啊,那還猶豫什麼,接手吧!
> 於是經濟學家、財務工程人員,大學教授以資料模型、隨機模擬評估之後,
> 重新包裝一下,就弄出了新產品--CDO
> (注: Collateralized Debt
> Obligation,債務抵押債券),
> 說穿了就是債券,通過發行和銷售這個CDO債券,讓債券的持有人來分擔房屋貸款的風險。
> 光這樣賣,風險太高還是沒人買啊,
> 假設原來的債券風險等級是
> 6,屬於中等偏高。
> 於是投資銀行把它分成高級和普通CDO兩個部分(trench),
> 發生債務危機時,高級CDO享有優先賠付的權利。
> 這樣兩部分的風險等級分別變成了 4 和
> 8,總風險不變,
> 但是前者就屬於中低風險債券了,憑投資銀行三寸不爛"金"舌,
> 在高級飯店不斷辦研討會,
> 送精美製作的powerpoints 和 excel
> spreadsheets,當然賣了個滿堂彩!
> 可是剩下的風險等級 8
> 的高風險債券怎麼辦呢?避險基金又是什麼人,
> 於是投資銀行找到了避險基金,
> 那可是在全世界金融界買空賣多、呼風喚雨的角色,
> 過的就是刀口舔血的日子,這點風險簡直小意思!
> 於是憑藉著關係,在世界範圍內找利率最低的銀行借來錢,
> 然後大舉買入這部分普通CDO債券,
> 2006年以前,日本央行貸款利率僅為1.5%;
> 普通 CDO 利率可能達到12%,
> 所以光靠利差避險基金就賺得滿滿滿了。
> 這樣一來,奇妙的事情發生了,
> 2001年末,美國的房地產一路飆升,短短幾年就翻了一倍多,
> 天呀,這樣一來就如同阿囧貸款公司開頭的廣告一樣,
> 根本不會出現還不起房屋貸款的事情,
> 就算沒錢還,把房子一賣還可以賺一筆錢。
> 結果是從貸款買房的人,到阿囧貸款公司,到各大投資銀行,到各個一般銀行,
> 到避險基金人人都賺錢,
> 但是投資銀行卻不太高興了!
> 當初是覺得普通 CDO
> 風險太高,才丟給避險基金的,
> 沒想到這幫傢伙比自己賺的還多,淨值拼命地漲,早知道自己留著玩了,
> 於是投資銀行也開始買入避險基金,打算分一杯羹了。
> 這就好像阿宅家裏有放久了的飯菜,正巧看見隔壁鄰居那只討厭的小花狗,
> 本來打算毒它一頓,沒想到小花狗吃了不但沒事,反而還越長越壯了,
> 阿宅這下可傻眼了,難道發霉了的飯菜營養更好?
> 於是自己也開始吃了!
> 這下又把避險基金樂壞了,他們是什麼人,
> 手裏有1塊錢,就能想辦法借10塊錢來玩的土匪啊,
> 現在拿著搶手的CDO當然要大幹一票!
> 於是他們又把手裏的 CDO 債券抵押給銀行,
> 換得 10 倍的貸款操作其他金融商品,
> 然後繼續追著投資銀行買普通 CDO 。
> 科科,當初可是簽了協議,這些普通 CDO
> 可都是歸我們的!!
> 投資銀行實在心理不爽啊,除了繼續悶聲買避險基金和賣普通
> CDO 給避險基金之外,
> 他們又想出了一個新產品,就叫CDS(註:Credit
> Default Swap,信用違約交換)
> 好了,華爾街就是這些天才產品的溫床:
> 一般投資人不是都覺得原來的 CDO
> 風險高嗎,
> 那我弄個保險好了,每年從CDO裏面拿出一部分錢作為保險費,
> 白白送給保險公司,但是將來出了風險,大家一起承擔。
> 以AIG為代表的保險公司想,不錯啊,眼下 CDO
> 這麼賺錢,
> 1分錢都不用出就分利潤,這不是每年白送錢給我們嗎!
> 避險基金想,也還可以啦,已經賺了幾年了,
> 以後風險越來越大,光是分一部分利潤出去,
> 就有保險公司承擔一半風險!
> 於是再次皆大歡喜,Win Win
> Situation!CDS也跟著紅了!
> 但是故事到這還沒結束:
> 因為"聰明"的華爾街人又想出了基於
> CDS 的創新產品!
> 找更多的一般投資大眾一起承擔,我們假設
> CDS 已經為我們帶來了 50 億元的收益,
> 現在我新發行一個基金,這個基金是專門投資買入
> CDS 的,
> 顯然這個建立在之前一系列產品之上的基金的風險是很高的,
> 但是我把之前已經賺的 50
> 億元投入作為保證金,
> 如果這個基金發生虧損,那麼先用這50億元墊付,
> 只有這50億元虧完了,你投資的本金才會開始虧損,
> 而在這之前你是可以提前贖回的,首次募集規模
> 500 億元。
> 天哪,還有比這個還爽的基金嗎?
> 1元面額買入的基金,虧到 10%
> 都不會虧自己的錢,賺了卻每分錢都是自己的!
> Rating Agencies
> 看到這個天才的規畫,簡直是毫不猶豫:給出
> AAA 評級!
> 結果這個基金可賣瘋了,各種退休基金、教育基金、理財產品,
> 甚至其他國家的銀行也紛紛買入。
> 雖然首次募集規模是原定的 500 億元,
> 可是後續發行了多少億,簡直已經無法估算了,
> 但是保證金 50 億元卻沒有變。
> 如果現有規模 5000
> 億元,那保證金就只能保證在基金淨值不虧到本金的
> 1% 時才不會虧錢,
> 也就是說虧本的機率越來越高。
> 當時間走到了 2006 年年底,風光了整整
> 5年的美國房地產終於從頂峰重重摔了下來,
> 這條食物鏈也終於開始斷裂。
> 因為房價下跌,優惠貸款利率的時限到了之後,
> 先是普通民眾無法償還貸款,
> 然後阿囧貸款公司倒閉,
> 避險基金大幅虧損,
> 繼而連累AIG保險公司和貸款的銀行,花旗、摩根相繼發佈巨額虧損報告,
> 同時投資避險基金的各大投資銀行也紛紛虧損,
> 然後股市大跌,民眾普遍虧錢,
> 無法償還房貸的民眾繼續增多,
> 最終,美國Subprime Crisis 爆發接近成為 Prime
> Crisis。
> Credit Crunch
> 開啟的地獄大門,還不知道如何關上……

Friday, September 19, 2008


约了小妹在勿洛区Mr Bean前面的镭射光碟店前见面。等了良久,小妹还没出现,我的"不耐烦"又要来了,便打了个电话用责备的语气催她过来.一直以来,我都习惯了对小妹"不耐烦".我想她也已习惯了吧,因为大家都不是会把东西放在心上的人,就继续地观赏着我的 Shawn Michaels 对垒 Chris Jericho. 突然,小妹出现了,脸色有点反常地难看.哎呀.心想,应该是她心情不好,加上我刚才的"不礼貌"...bluetooth了她要的歌给她后,她就凶巴巴地走了,留下我在那里有点不知所措.

我突然觉得有点内疚.我时常都会给自己籍口,把自己的缺点合理化,譬如"我是真性情,骂了就算啊...发泄而已啊..."等等.我为什么会因为那样芝麻绿豆的事,而发脾气呢?这有必要吗?哎呀... 我也是没心的啦.

回到家,整体的心情还算不错,却好像感觉不太好.好!就对自己许下承诺,不要那么没耐心和学习让自己不再乱发脾气了. 突然,想起著名作家刘墉所说的一句话"人就这么一辈子".人不就这么一辈子吗?不论我们做了任何事,那件事只能发生一次. "我常想世间的劳苦愁烦,恩恩怨怨,如有不能化解的,不能消受的,不也驮过这短短几十年就烟消云散了吗?若是如此,又有什么好解不开呢?"-刘墉

(特地选了几首快乐的歌曲来播放,有Louis Armstrong的 What a wonderful world , Take that 的 Beautiful World 和 Shine,让空气充满着快乐幸福的声音.我一直深信快乐是很有感染性的.)

Saturday, September 6, 2008

Warwick Avenue

It's just another sleepless Saturday night. I am feeling fresh although deep down in my heart, i really hope that i can fall asleep and enter the beautiful dreamland. All these are due to the fact that i had an afternoon nap.

There's no EPL? No WWE? No movie to watch now? What can i do to kill the time?

At this very moment, my Winamp is playing Warwick Avenue by Duffy ( I have been listening to this song over and over again. I first came to know about this song while listening to a compilation of UK top 40 i downloaded. I was (and am still) so amazed by the melody and Duffy's melancholy voice. She puts so much emotion into this song and everytime i listen to the song, i'm touched.

The song makes reference to Warwick Avenue tube station, near Little Venice in inner North-West London ( For folks, this is just an ordinary tube station in the vast London city. However, there must be some memories left here. The lyric is about a struggle of a girl to drop the past and have a brand new start from being haunted by the one who hurted her. She's broken-hearted and knows those days spent together were gone.

" I'm leaving you for the last time baby...
You think you're loving but you don't love me.
I've been confused outta’ my mind lately...
You think you're loving but I want to be free.
Baby you've hurt me. "

Somehow, i'm deeply touched by this song. Duffy's soulful voice blends in so well. I can feel the pain she's going through as she puts so much emotions into the song. She sings
"Don't think we're okay, just because I'm here...
You hurt me bad, but I won't shed a tear. " but I'm so sad to see her cried in the music video( It really shows great agony and oh so painful.

Well. It's almost 2am. I'm still wide awake. I think i'll spend the rest of the night listening to the song (hopefully i won't). Even if i turn off the light and lie on the bed, it'll be a tough task to not have the song playing repeatedly in my mind.

When I get to Warwick Avenue...
Meet me by the entrance of the tube.
We can talk things over, a little time...
Promise me you won't step outta line.

When I get to Warwick Avenue...
Please drop the past and be true.
Don't think we're okay, just because I'm here...
You hurt me bad, but I won't shed a tear.

I'm leaving you for the last time baby...
You think you're loving but you don't love me.
I've been confused outta’ my mind lately...
You think you're loving but I want to be free.
Baby you've hurt me.

When I get to Warwick Avenue...
We'll spend an hour, but no more than two.
Our only chance to speak, once more...
I showed you the answers, now here's the door.

When I get to Warwick Avenue...
I'll tell you baby, that we're through.

********
DFT (PBE) results for a relaxed structure of SmGdTlPd2.

Results
Magnetization: 0.000 μB/atom
VASP energy: -25.839 eV for the cell shown

a b c (Å): 3.723 7.866 7.866
angles (deg): 30.73 90.00 90.00
Positions (direct):
Gd  0.000  0.366  0.366
Pd  0.500  0.810  0.810
Pd  0.500  0.192  0.192
Tl  0.500  0.999  0.999
Sm  0.000  0.633  0.633

DFT (PBE) results for a relaxed structure of Gd2Sn6Pd.

Results
Magnetization: 0.001 μB/atom
VASP energy: -43.467 eV for the cell shown

a b c (Å): 11.765 11.765 4.485
angles (deg): 90.00 90.00 158.35
Positions (direct):
Gd  0.321  0.679  0.500
Gd  0.679  0.321  0.500
Sn  0.794  0.206  0.000
Sn  0.927  0.073  0.500
Sn  0.426  0.574  0.000
Sn  0.206  0.794  0.000
Sn  0.073  0.927  0.500
Sn  0.574  0.426  0.000
Pd  0.000  0.000  0.000

DFT (PBE) results for a relaxed structure of GdSnPd.

Results
Magnetization: 0.001 μB/atom
VASP energy: -66.468 eV for the cell shown

a b c (Å): 7.287 4.675 7.963
angles (deg): 90.00 90.00 90.00
Positions (direct):
Gd  0.510  0.250  0.206
Gd  0.490  0.750  0.794
Gd  0.990  0.750  0.706
Gd  0.010  0.250  0.294
Sn  0.305  0.750  0.411
Sn  0.805  0.750  0.089
Sn  0.195  0.250  0.911
Sn  0.695  0.250  0.589
Pd  0.702  0.750  0.419
Pd  0.202  0.750  0.081
Pd  0.298  0.250  0.581
Pd  0.798  0.250  0.919

DFT (PBE) results for a relaxed structure of Gd2SnPd.

Results
Magnetization: 0.001 μB/atom
VASP energy: -21.607 eV for the cell shown

a b c (Å): 4.386 6.033 6.033
angles (deg): 39.89 90.00 90.00
Positions (direct):
Gd  0.000  0.140  0.140
Gd  0.500  0.853  0.853
Pd  0.500  0.586  0.586
Sn  0.000  0.421  0.421

DFT (PBE) results for a relaxed structure of SrGdSn2Pd4.

Results
********

I'm leaving you for the last time baby...
You think you're loving but you don't love me.
I've been confused outta’ my mind lately...
You think you're loving but you don't love me.
I want to be free, baby you've hurt me.

All those days spent together, I wished for better,
But I didn't want the train to come.
Now it's departed,
I'm broken hearted, seems like we never started.
All the days spent together, when I wished for better,
And I didn't want the train to come

You think you're loving but you don't love me.
I want to be free, baby you've hurt me.
You don't love me,
I want to be free,
Baby you've hurt me.

Friday, September 5, 2008



屏幕。只要有任何风吹草动,我就要用我的独门绝技,一只手掌两根手指,迅速地按ALT + TAB, 让我项目的视窗扩大到整
要一切恢复平静,我又会马上按ALT + TAB,继续我的著作。整个过程需要你的动作熟练,要一气呵成,才能达到最佳效果,
真可谓考功夫。(OK! 够了.废话”车”得太多了!)

一个非常迷信的人,而且是一个”大男人”.几乎是任何事情, 他都会问神明,才决定.所以很多事情都因为神明说今年不适合做,
而丈夫还是依然故我.从她的谈话和短讯中,我深深地感到她的无助和彷徨. 首先,我问她她可否有能力和有信心改变他.她的答案
情.当我们真地不知如何是好时,为何不尝试放下它呢? 要改变一个人根深蒂固的想法,不是一个容易的事情.改变不到一个人,
.我们人很多时候,在气上心头时,往往说出的话和做的决定都是错误的,每每事后而后悔,又何苦呢?” 待会,这个亲人会去跟一
位辅导员谈.我深深地祝福她. :)(备注:
ii) 就这样我献上了我在”部落格”社群的第一次.想了想,都不知要放什么题目,就放”我在部落格的第一次”)